Let me start out with a confession. I have never cared much for set-theoretic size issues, for they seem not to cause much trouble in my day-to-day mathematical life. Despite that, I have always been uncomfortable with their existence, although this discomfort is mostly rooted in a personal aesthetic ideal: I see technical digressions on cardinals, universes, and transfiniteness as a stain on otherwise clean mathematical theories.
### Next to the entry, the page also holds data records
- - -
No. 1
Below is an optimized crystal structure of CuRh2O4, with properties calculated at the PBE level.

```
CuRh2O4
1.0
0.0000 4.3120 4.3120
4.3120 0.0000 4.3120
4.3120 4.3120 0.0000
Cu Rh O
2 4 8
Direct
0.1250 0.1250 0.1250 Cu
0.8750 0.8750 0.8750 Cu
0.0000 0.5000 0.5000 Rh
0.5000 0.0000 0.5000 Rh
0.5000 0.5000 0.0000 Rh
0.5000 0.5000 0.5000 Rh
0.2610 0.2610 0.2610 O
0.2610 0.2610 0.7171 O
0.2610 0.7171 0.2610 O
0.2829 0.7390 0.7390 O
0.7171 0.2610 0.2610 O
0.7390 0.2829 0.7390 O
0.7390 0.7390 0.2829 O
0.7390 0.7390 0.7390 O
```

- E_tot (eV per atom) = -6.1744

No. 2
Below is an optimized crystal structure of LiNbO3, with properties calculated at the PBE level.

```
LiNbO3
1.0
5.2500 0.0000 0.0000
-2.6194 4.9309 0.0000
-0.0063 -2.0488 21.6299
Li Nb O
10 10 30
Direct
0.0000 0.0000 0.0000 Li
0.0008 0.0014 0.7141 Li
0.2008 0.4008 0.3138 Li
0.3002 0.6012 0.6138 Li
0.3014 0.6042 0.9017 Li
0.5002 0.0016 0.2140 Li
0.6010 0.2010 0.5140 Li
0.6981 0.3953 0.8142 Li
0.8004 0.6005 0.1148 Li
0.8999 0.8009 0.4140 Li
0.0114 0.0149 0.8593 Nb
0.1157 0.2299 0.1584 Nb
0.2161 0.4332 0.4592 Nb
0.3135 0.6272 0.7583 Nb
0.4116 0.8193 0.0597 Nb
0.5169 0.0330 0.3591 Nb
0.6148 0.2310 0.6589 Nb
0.6994 0.4064 0.9610 Nb
0.8150 0.6317 0.2590 Nb
0.9169 0.8328 0.5591 Nb
0.0176 0.3978 0.6813 O
0.0185 0.2793 0.8058 O
0.0796 0.5505 0.5309 O
0.0806 0.7986 0.7806 O
0.1633 0.0787 0.5036 O
0.1710 0.9503 0.6308 O
0.2157 0.6791 0.4036 O
0.2175 0.7997 0.2817 O
0.2814 0.9516 0.1307 O
0.2817 0.2003 0.3818 O
0.3683 0.4868 0.1056 O
0.3700 0.3494 0.2303 O
0.4161 0.0810 0.0051 O
0.4160 0.2199 0.8811 O
0.4788 0.3486 0.7303 O
0.5007 0.6157 0.9817 O
0.5629 0.8777 0.7036 O
0.5662 0.7434 0.8301 O
0.6157 0.4787 0.6035 O
0.6184 0.6002 0.4818 O
0.6796 0.7502 0.3307 O
0.6816 0.0002 0.5815 O
0.7630 0.2787 0.3035 O
0.7708 0.1505 0.4309 O
0.8161 0.8790 0.2036 O
0.8167 0.9952 0.0818 O
0.8818 0.3986 0.1814 O
0.8981 0.1648 0.9309 O
0.9572 0.6772 0.9050 O
0.9702 0.5723 0.0306 O
```

- E_tot (eV per atom) = -7.8481

No. 3
Below is an optimized crystal structure of Ba2CuSeO2, with properties calculated at the PBE level.

```
Ba2CuSeO2
1.0
4.0527 0.0000 0.0000
0.0000 4.0527 0.0000
0.0000 0.0000 7.5618
Ba Cu Se O
2 1 1 2
Direct
0.0000 0.0000 0.2488 Ba
0.0000 0.0000 0.7512 Ba
0.5000 0.5000 0.0000 Cu
0.5000 0.5000 0.5000 Se
0.0000 0.5000 0.0000 O
0.5000 0.0000 0.0000 O
```

- E_tot (eV per atom) = -5.3023

----------

1.
# Sn4Sb6S13

A geometry-optimized Sn4Sb6S13 structure (PBE, the Materials Project).

Lattice parameters (Å, degrees): 16.9866 16.9866 24.9420 48.44 48.44 12.96
With the nearest neighbours (Å) after each atom.
Fractional positions:
Sn 0.1983 0.1983 0.1015  3 S 2.62-2.81
Sn 0.6463 0.6463 0.8368  3 S 2.56-2.74
Sn 0.4290 0.4290 0.6965  3 S 2.63-2.80
Sn 0.5478 0.5478 0.5113  5 S 2.73-2.84
Sn 0.4522 0.4522 0.4887  5 S 2.73-2.84
Sn 0.5710 0.5710 0.3035  3 S 2.63-2.80
Sn 0.8017 0.8017 0.8985  3 S 2.62-2.81
Sn 0.3537 0.3537 0.1632  3 S 2.56-2.74
Sb 0.3279 0.3279 0.3320  3 S 2.55-2.56
- - -
In the literature on $\infty$-categories, a great deal of attention appears to be given to so-called presentable $\infty$-categories. As a reminder, we say an $\infty$-category $\mathcal{C}$ is presentable if it has all small colimits, and there exists a regular cardinal $\kappa$ so that $\mathcal{C}$ can be realised as the category of $\kappa$-small $\operatorname{Ind}$-objects of some small $\infty$-category. While in most mathematical areas I am interested in, size contraints are of only minor interest, in higher category theory, they appear to arise a lot, usually in the form of requiring certain $\infty$-categories to be presentable. As an example, in Lurie's Higher Algebra, the word 'presentable $\infty$-category' appears hundreds of times. Being such a common occurrence, I can no longer sweep these constraints under the rug: I have to face reality.
Attached: data records:
____________
# PBE-GGA LiGa3P2O11F3, optimized geometry
# Symmetry: P2_1 (4)
# Calculated volume in Å³/cell: 518
# ΔH_f (0 K) in eV per atom: -2.076
# Size of the total moment in μB/atom: 0.150
# Crystal system: monoclinic
data_LiGa3P2O11F3
_chemical_formula_sum 'Li2 Ga6 P4 O22 F6'
_space_group_name_H-M_alt 'P 1'
_space_group_IT_number 1
_space_group_name_Hall 'P 1'
_cell_length_a 8.4488
_cell_length_b 7.3588
_cell_length_c 8.5430
_cell_angle_alpha 77.33
_cell_angle_beta 90.00
_cell_angle_gamma 90.00
loop_
_atom_site_label
_atom_site_type_symbol
_atom_site_fract_x
_atom_site_fract_y
_atom_site_fract_z
_atom_site_occupancy
Li1 Li 0.5837 0.4925 0.6590 1
Li2 Li 0.0837 0.5075 0.3410 1
Ga1 Ga 0.4897 0.7405 0.9991 1
Ga2 Ga 0.9897 0.2595 0.0009 1
Ga3 Ga 0.2471 0.8340 0.6473 1
Ga4 Ga 0.7471 0.1660 0.3527 1
Ga5 Ga 0.7529 0.6759 0.3456 1
Ga6 Ga 0.2529 0.3241 0.6544 1
P1 P 0.0577 0.9389 0.3191 1
P2 P 0.5577 0.0611 0.6809 1
P3 P 0.9424 0.5560 0.6777 1
P4 P 0.4424 0.4440 0.3223 1
O1 O 0.6115 0.9445 0.8499 1
O2 O 0.1115 0.0555 0.1501 1
O3 O 0.3834 0.5670 0.1637 1
O4 O 0.8834 0.4330 0.8363 1
O5 O 0.2076 0.8740 0.4168 1
O6 O 0.7076 0.1260 0.5832 1
O7 O 0.7911 0.6227 0.5793 1
O8 O 0.2911 0.3773 0.4207 1
O9 O 0.0405 0.7219 0.7068 1
O10 O 0.5405 0.2781 0.2932 1
O11 O 0.9693 0.7614 0.2923 1
O12 O 0.4693 0.2386 0.7077 1
O13 O 0.4472 0.9787 0.0698 1
O14 O 0.9472 0.0213 0.9302 1
O15 O 0.5448 0.5748 0.8572 1
O16 O 0.0448 0.4252 0.1428 1
O17 O 0.4531 0.9409 0.5980 1
O18 O 0.9531 0.0591 0.4020 1
O19 O 0.5468 0.5567 0.4192 1
O20 O 0.0468 0.4433 0.5808 1
O21 O 0.3418 0.5788 0.6726 1
O22 O 0.8418 0.4212 0.3274 1
F1 F 0.2920 0.8006 0.8817 1
F2 F 0.7920 0.1994 0.1183 1
F3 F 0.6892 0.7036 0.1219 1
F4 F 0.1892 0.2964 0.8781 1
F5 F 0.6656 0.9198 0.3357 1
F6 F 0.1656 0.0802 0.6643 1

# PBE-GGA Na2Ca3TiS6O24, optimized geometry
# Symmetry: P3 (143)
# Calculated volume in Å³/cell: 1680
# ΔH_f (0 K) in eV per atom: -2.439
# Size of the total moment in μB/atom: 0.000
# Crystal system: trigonal
data_Na2Ca3TiS6O24
_chemical_formula_sum 'Na6 Ca9 Ti3 S18 O72'
_space_group_name_H-M_alt 'P 1'
_space_group_IT_number 1
_space_group_name_Hall 'P 1'
_cell_length_a 9.0463
_cell_length_b 9.0463
_cell_length_c 23.7049
_cell_angle_alpha 90.00
_cell_angle_beta 90.00
_cell_angle_gamma 120.00
loop_
_atom_site_label
_atom_site_type_symbol
_atom_site_fract_x
_atom_site_fract_y
_atom_site_fract_z
_atom_site_occupancy
Na1 Na 0.0000 0.0000 0.5063 1
Na2 Na 0.0000 0.0000 0.9991 1
Na3 Na 0.6667 0.3333 0.8309 1
Na4 Na 0.6667 0.3333 0.3370 1
Na5 Na 0.3333 0.6667 0.1754 1
Na6 Na 0.3333 0.6667 0.6514 1
Ca1 Ca 0.0000 0.0000 0.6441 1
Ca2 Ca 0.0000 0.0000 0.1478 1
Ca3 Ca 0.6667 0.3333 0.6822 1
Ca4 Ca 0.6667 0.3333 0.1873 1
Ca5 Ca 0.6667 0.3333 0.9818 1
Ca6 Ca 0.6667 0.3333 0.4833 1
Ca7 Ca 0.3333 0.6667 0.5120 1
Ca8 Ca 0.3333 0.6667 0.3180 1
Ca9 Ca 0.3333 0.6667 0.8153 1
Ti1 Ti 0.0000 0.0000 0.3506 1
Ti2 Ti 0.0000 0.0000 0.8482 1
Ti3 Ti 0.3333 0.6667 0.0157 1
S1 S 0.2894 0.0037 0.2527 1
S2 S 0.7143 0.7106 0.2527 1
____________
Having swallowed this set-theoretic pill, the solution appears simple: I shall make myself remember the definition of presentability, and apply the truths as decreed by Lurie and others only to those $\infty$-categories which either Google tells me are presentable, or which I have verified to be presentable myself. Several problems arise, however, and they are the motivation for the questions (or rather, three perspectives on a single question) that I wish to ask.
- I fail to truly understand the definition. I have only a limited conception of what a cardinal really is, let alone 'regular cardinal'. I have neither feeling for the definition, nor for determining whether a given $\infty$-category satisfies it.
Question 1. What is the intuitive idea behind presentability? What does it mean to presentable? How do I recognise if a given $\infty$-category is presentable?
- I fail to truly understand the motivation behind the definition. I am not well-versed enough in the concepts involved to understand what goes wrong if we do not assume presentability, nor do I understand why presentability is defined the way it is. What if we drop 'regular' in 'regular cardinal'? Why not realise $\mathcal{C}$ as $\operatorname{Pro}$-objects?
Question 2. Why is the definition of presentable the way it is, and not something slightly different?
(Materials data that have nothing to do with the entry)
-- begin --
(1)
Entry from the Materials Project: a relaxed Ca2GeO4 crystal (PBE).

Cell and atoms, written as POSCAR:
```
Ca2GeO4
1.0
-0.4957 0.0030 -5.7820
-1.0740 -4.8490 3.0018
-6.5930 1.8108 0.5661
O Ca Ge
8 4 2
direct
0.6541 0.8271 0.2961 O
0.3459 0.1729 0.7039 O
0.1729 0.3459 0.2961 O
0.3333 0.6667 0.9380 O
0.8271 0.6541 0.7039 O
0.1729 0.8271 0.2961 O
0.8271 0.1729 0.7039 O
0.6667 0.3333 0.0620 O
0.0000 0.0000 0.0000 Ca
0.3333 0.6667 0.6346 Ca
0.0000 0.0000 0.5000 Ca
0.6667 0.3333 0.3654 Ca
0.6667 0.3333 0.8123 Ge
0.3333 0.6667 0.1877 Ge
```

raw total energy: -6.469 eV/atom
DFT formation energy: -2.80 eV per atom
volume: 14.29 Å³/atom
crystal system: trigonal

=====

(2)
Entry from the Materials Project: a relaxed Sr3CdO4 crystal (PBE).

Cell and atoms, written as POSCAR:
```
Sr3CdO4
1.0
5.1097 0.0000 0.0000
0.0000 5.1097 0.0000
0.0000 0.0000 5.1097
Sr O Cd
3 4 1
direct
0.0000 0.5000 0.5000 Sr
0.5000 0.0000 0.5000 Sr
0.5000 0.5000 0.0000 Sr
0.5000 0.0000 0.0000 O
0.0000 0.0000 0.5000 O
0.0000 0.5000 0.0000 O
0.5000 0.5000 0.5000 O
0.0000 0.0000 0.0000 Cd
```

raw total energy: -5.510 eV/atom
DFT formation energy: -2.63 eV per atom
volume: 16.68 Å³/atom
crystal system: cubic

=====

(3)
Entry from the Materials Project: a relaxed CdP2O8 crystal (PBE).

Cell and atoms, written as POSCAR:
```
CdP2O8
1.0
0.4997 4.2025 11.5645
-9.6328 2.7798 -7.1506
-2.6166 -4.5362 1.7615
O Cd P
24 3 6
direct
0.7733 0.4605 0.5514 O
0.7351 0.1125 0.9903 O
0.1589 0.6453 0.7759 O
0.9126 0.3761 0.6720 O
0.8875 0.6226 0.9903 O
0.1125 0.3774 0.0097 O
0.6872 0.2267 0.5514 O
0.4635 0.0874 0.6720 O
0.5365 0.9126 0.3280 O
0.3761 0.4635 0.3280 O
0.8411 0.3547 0.2241 O
0.3547 0.5136 0.7759 O
0.6239 0.5365 0.6720 O
0.2267 0.5395 0.4486 O
0.3774 0.2649 0.9903 O
0.0874 0.6239 0.3280 O
0.3128 0.7733 0.4486 O
0.2649 0.8875 0.0097 O
0.6453 0.4864 0.2241 O
0.4605 0.6872 0.4486 O
0.6226 0.7351 0.0097 O
0.5136 0.1589 0.2241 O
0.5395 0.3128 0.5514 O
0.4864 0.8411 0.7759 O
0.5000 0.0000 0.0000 Cd
0.0000 0.5000 0.0000 Cd
0.5000 0.5000 0.0000 Cd
0.5422 0.1856 0.4911 P
0.4578 0.8144 0.5089 P
0.1856 0.6434 0.5089 P
0.3566 0.5422 0.5089 P
0.6434 0.4578 0.4911 P
0.8144 0.3566 0.4911 P
```

raw total energy: -5.753 eV/atom
DFT formation energy: -1.59 eV per atom
volume: 21.99 Å³/atom
crystal system: trigonal

=====

(4)
Entry from the Materials Project: a relaxed MgSi crystal (PBE).

Cell and atoms, written as POSCAR:
```
MgSi
1.0
4.7083 0.0000 0.0000
1.2555 5.4592 0.0000
1.3534 1.1899 8.5428
Si Mg
6 6
direct
0.1252 0.8894 0.0247 Si
0.5648 0.6090 0.8936 Si
0.1308 0.5251 0.4013 Si
0.5754 0.9311 0.6437 Si
0.0655 0.7618 0.7635 Si
0.5383 0.2614 0.2610 Si
0.0931 0.2673 0.7404 Mg
0.5858 0.4584 0.5689 Mg
0.5950 0.1050 0.9388 Mg
0.0545 0.0269 0.4241 Mg
0.6203 0.7673 0.2507 Mg
0.0514 0.3972 0.0890 Mg
```

raw total energy: -3.390 eV/atom
DFT formation energy: 0.16 eV per atom
volume: 18.30 Å³/atom
crystal system: triclinic

=====

(5)
Entry from the Materials Project: a relaxed Na2SnHg crystal (PBE).
-- stop --
- I fail to see the beauty in the definition. Although this one is purely subjective, I hope someone feels what I feel. There are these beautifully clean theorems in higher category theory — theorems which have nothing to do with size — that convince me straight away that $\infty$-categories truly are natural and intrinsically simple things, but on top of that one has size constraints all over the place. They simply feel in dissonance with an otherwise flawless theory.
Question 3 (optional). In your opinion, why is presentability a natural, and aesthetic definition?